## Request
Now retype only the last part of the entries below, starting with the line that has "-3.82056".
## Source
____________
Formula: C12H20N4O3
Source: the OMol25 dataset
Level of theory: ωB97M-V with the def2-TZVPD basis set

The relative energy (zero: lowest compared OMol25 entry of this formula, charge and spin) is 7.075 eV. As for the HOMO-LUMO gap: 9.549 eV. The SMILES is CC(C)C[C@H](NC(=O)[C@@H](N)Cc1c[nH]cn1)C(=O)O. Its total charge is 0. The value obtained for the calculated total energy is -24866.2200 eV.

Atoms and positions in Å:
C: 1.77007 -1.40270 1.61922
C: 0.92895 -1.97325 2.80216
C: 1.13389 -3.32888 3.35359
C: -0.62714 -1.53534 2.85450
C: -0.72690 0.13838 2.34202
N: -0.28104 0.40523 0.97609
C: -0.98084 0.18404 -0.14628
O: -2.10010 -0.33174 -0.18680
C: -0.59507 1.15660 -1.32281
N: 0.85216 1.59278 -1.07074
C: -0.84234 0.53490 -2.70119
C: -0.80530 1.41199 -3.82093
C: -1.73020 1.42217 -4.77128
N: -0.81286 1.72622 -6.00176
C: 0.42867 2.03408 -5.65210
N: 0.43494 1.75421 -4.25752
C: -0.01730 1.03898 3.39380
O: 0.96879 1.67428 3.07853
O: -0.41737 1.19890 4.79492
H: 1.59672 -1.75091 0.45817
H: 2.08474 -0.39667 1.77616
H: 2.75150 -1.91834 1.49600
H: 1.32567 -1.16734 3.48873
H: 1.34313 -3.91158 2.30612
H: 2.12372 -3.39130 4.11828
H: 0.13518 -3.60751 3.93125
H: -1.25021 -2.09640 2.04286
H: -0.99139 -1.80291 3.85414
H: -1.81242 0.40259 2.29328
H: 0.61924 0.99499 1.04113
H: -1.18496 1.98633 -1.04802
H: 1.42380 0.83531 -1.03688
H: 1.14594 2.00306 -1.92896
H: -1.87814 0.03062 -2.54880
H: -0.07107 -0.32501 -2.58604
H: -2.71358 0.97893 -4.84045
H: -1.18851 1.99535 -6.88723
H: 1.15169 2.74226 -5.98278
H: -1.19205 0.69771 4.76962

Atomic partial charges in e from the Mulliken method, atoms 1 to 8:
1 C -1.338
2 C 0.632
3 C -0.904
4 C -0.928
5 C -0.755
6 N 0.003
7 C -0.048
8 O -0.677

Formula: C38H61BFNbO34PS
Source: the OMol25 dataset
Level of theory: ωB97M-V with the def2-TZVPD basis set

As for the HOMO-LUMO gap: 5.058 eV. Its total charge is -1. The value obtained for the calculated total energy is -135074.2965 eV.

Atoms and positions in Å:
C: 3.09006 -2.71763 -0.73918
C: 2.44798 -1.57136 0.14181
B: 1.70609 -0.45057 -0.79762
O: 2.09688 0.90984 -0.49546
Nb: 0.19797 -1.01596 -2.48093
C: -1.34868 0.51350 -1.82601
C: -2.56854 -0.08233 -1.00469
C: -3.44549 -1.04684 -1.83434
F: -3.94473 -2.05830 -0.97900
P: 1.42318 0.73676 -3.97461
S: 0.31292 0.85034 -5.61031
H: 3.32704 -2.38178 -1.75829
H: 2.35241 -3.54216 -0.78854
H: 4.03354 -3.10340 -0.29281
H: 3.26631 -1.10067 0.74102
H: 1.74426 -2.04957 0.84878
H: 1.36511 1.37507 -0.09163
H: -0.92740 -1.52373 -3.82056
H: 1.42081 -2.25686 -3.08875
H: -0.48888 -2.30193 -1.36274
H: -1.82154 1.03976 -2.68904
H: -0.86963 1.26134 -1.15418
H: -2.16624 -0.61852 -0.12675
H: -3.18106 0.77089 -0.65044
H: -4.35058 -0.54312 -2.23469
H: -2.92345 -1.48556 -2.70144
H: 1.56318 2.00688 -3.33970
H: 2.67925 0.19062 -4.34973
C: 6.35271 -1.98656 -2.73321
C: 7.46378 -1.11116 -3.24681
O: 6.85386 -0.44918 -4.35412
C: 5.51158 -0.46000 -4.14430
O: 4.72572 0.15160 -4.78847
O: 5.18711 -1.25580 -3.10242
H: 6.39353 -2.13199 -1.65532
H: 6.32693 -2.96360 -3.22230
H: 7.77812 -0.36148 -2.51607
H: 8.33503 -1.68068 -3.56677
C: -6.01585 -0.25544 2.60205
C: -6.01042 -0.42667 1.11211
O: -5.39122 0.78291 0.65425
C: -4.63671 1.25918 1.67900
O: -3.86269 2.16053 1.57909
O: -4.87678 0.58202 2.82332
H: -5.91700 -1.19582 3.12734
H: -6.90992 0.26249 2.96296
H: -5.40376 -1.27584 0.78861
H: -7.01214 -0.52966 0.69819
C: 0.55292 3.16343 -8.62307
C: 1.65736 4.03302 -9.15350
O: 1.03099 4.69993 -10.25398
C: -0.30538 4.69775 -10.02514
O: -1.09656 5.31658 -10.66324
O: -0.62192 3.90310 -8.97725
H: 0.61255 3.01543 -7.54502
H: 0.51718 2.18738 -9.11163
H: 1.98667 4.78126 -8.42816
H: 2.52037 3.45926 -9.48590
C: -5.82990 3.22117 -0.79166
C: -4.67371 4.02430 -1.31741
O: -5.24133 4.67619 -2.45887
C: -6.58166 4.73816 -2.27168
O: -7.32643 5.36530 -2.95592
O: -6.96300 3.99534 -1.20526
H: -5.80537 3.11467 0.28588
H: -5.89074 2.23246 -1.24638
H: -4.33410 4.78356 -0.60850
H: -3.82614 3.40321 -1.60314
C: 2.08890 4.15710 2.05003
C: 3.40122 4.63503 1.49134
O: 4.35193 4.00823 2.35254
____________
## Completed
H: -0.92740 -1.52373 -3.82056
H: 1.42081 -2.25686 -3.08875
H: -0.48888 -2.30193 -1.36274
H: -1.82154 1.03976 -2.68904
H: -0.86963 1.26134 -1.15418
H: -2.16624 -0.61852 -0.12675
H: -3.18106 0.77089 -0.65044
H: -4.35058 -0.54312 -2.23469
H: -2.92345 -1.48556 -2.70144
H: 1.56318 2.00688 -3.33970
H: 2.67925 0.19062 -4.34973
C: 6.35271 -1.98656 -2.73321
C: 7.46378 -1.11116 -3.24681
O: 6.85386 -0.44918 -4.35412
C: 5.51158 -0.46000 -4.14430
O: 4.72572 0.15160 -4.78847
O: 5.18711 -1.25580 -3.10242
H: 6.39353 -2.13199 -1.65532
H: 6.32693 -2.96360 -3.22230
H: 7.77812 -0.36148 -2.51607
H: 8.33503 -1.68068 -3.56677
C: -6.01585 -0.25544 2.60205
C: -6.01042 -0.42667 1.11211
O: -5.39122 0.78291 0.65425
C: -4.63671 1.25918 1.67900
O: -3.86269 2.16053 1.57909
O: -4.87678 0.58202 2.82332
H: -5.91700 -1.19582 3.12734
H: -6.90992 0.26249 2.96296
H: -5.40376 -1.27584 0.78861
H: -7.01214 -0.52966 0.69819
C: 0.55292 3.16343 -8.62307
C: 1.65736 4.03302 -9.15350
O: 1.03099 4.69993 -10.25398
C: -0.30538 4.69775 -10.02514
O: -1.09656 5.31658 -10.66324
O: -0.62192 3.90310 -8.97725
H: 0.61255 3.01543 -7.54502
H: 0.51718 2.18738 -9.11163
H: 1.98667 4.78126 -8.42816
H: 2.52037 3.45926 -9.48590
C: -5.82990 3.22117 -0.79166
C: -4.67371 4.02430 -1.31741
O: -5.24133 4.67619 -2.45887
C: -6.58166 4.73816 -2.27168
O: -7.32643 5.36530 -2.95592
O: -6.96300 3.99534 -1.20526
H: -5.80537 3.11467 0.28588
H: -5.89074 2.23246 -1.24638
H: -4.33410 4.78356 -0.60850
H: -3.82614 3.40321 -1.60314
C: 2.08890 4.15710 2.05003
C: 3.40122 4.63503 1.49134
O: 4.35193 4.00823 2.35254